New York, NY – The University Student Senate (USS) of the City University of New York (CUNY), Professional Staff Congress (PSC), students, faculty, staff, community partners, concerned New Yorkers, and elected officials held a rally and a press conference outside the City Hall steps on March 15, 2024 calling on the state to invest in CUNY in their final budget for the fiscal year. The rally was followed by a march across the Brooklyn Bridge, culminating at the steps of Brooklyn Borough Hall.
Participants march and raise their voices for:
- Free CUNY & SUNY
- Robust Financial Aid
- More Advisors & Mental Health Services
- Support for Students with Disabilities
This march is a call to action for lawmakers to rectify the trend of increased divestment in public higher education and maintain the state’s commitment to ensuring an affordable, accessible, and excellent higher education for all. We call on lawmakers to commit to reinstate a Tuition Freeze for public colleges and further investment in the expansion of opportunity programs and support services.
The March in March was first established by the CUNY University Student Senate in 2016 to fight for the restoration of a proposed $500 million dollar cut to CUNY’s budget. As a result of USS and community partners’ efforts, the cut was restored and a Tuition Freeze was won for CUNY schools.
These records of molecules were left in the text by mistake =
-- begin --
(1)
Formula: C18H33BrClN2O7P
Source: the Open Molecules 2025 dataset
Level of theory: ωB97M-V/def2-TZVPD

```
63
Properties=species:S:1:pos:R:3:forces:R:3:lowdin_charge:R:1
N -4.357125 1.709453 3.937834 0.1 -0.2 0.1 -0.05
C -1.827440 3.435005 2.416530 0.1 -0.2 0.0 -0.11
H -1.381188 2.441457 5.373874 0.0 0.0 0.0 0.12
N 5.927237 -0.807863 -2.057327 0.0 0.2 0.1 -0.05
C -0.412488 -1.378179 -0.792590 -0.2 -0.5 0.1 0.00
C 3.996771 0.743531 -4.153423 0.1 -0.1 -0.3 -0.10
H -6.112279 0.888308 3.239892 0.0 -0.1 0.0 0.12
H 3.352579 1.045106 -4.980232 0.1 0.0 0.0 0.09
Br -3.211166 -4.314445 -2.440515 0.6 0.7 0.6 0.79
C 2.931529 -2.457846 -2.023520 0.0 0.2 -0.1 -0.11
C 6.163878 1.384849 -3.368230 0.3 0.1 -0.1 -0.23
O -4.435750 -0.737162 1.962749 0.2 0.0 0.0 -0.20
O -5.222142 -2.144545 -0.979859 0.7 1.4 -0.4 -0.39
H 4.763478 0.710374 -1.135213 0.0 0.1 0.2 0.10
H -1.157545 3.325826 1.564072 0.0 0.0 0.1 0.09
C 5.234069 -0.252423 -0.900028 -0.1 -0.2 -0.2 -0.21
O 5.325248 1.114567 -4.478567 -0.1 0.1 0.2 -0.18
H 5.242312 -1.144078 -2.721337 0.0 0.0 0.0 0.07
C -2.826907 -1.489511 -2.261993 -0.4 1.2 0.7 -0.38
C -2.154752 2.572614 4.611874 0.2 -0.4 0.2 -0.21
O -0.244018 -3.686855 -1.386698 1.2 -1.2 0.4 0.11
C -1.804167 -0.383398 -2.525665 1.0 -0.8 2.1 -0.41
H -2.856224 3.337280 2.055239 0.0 0.2 0.0 0.08
H 0.129053 -1.337055 0.154908 0.5 -0.5 -0.7 0.13
H -1.682611 4.428550 2.849303 -0.1 0.0 0.0 0.09
H -3.190948 0.841289 1.464208 0.2 0.0 0.1 0.07
C -0.674166 -0.291302 -1.500910 -0.5 0.0 -0.3 0.03
H 3.913376 -0.342044 -4.057547 -0.1 0.0 0.2 0.07
H 5.644679 2.009329 -2.631977 -0.1 -0.1 0.0 0.11
H -2.412490 -0.459167 2.426848 0.0 0.1 0.1 0.09
O -1.510087 2.417485 3.350083 -0.2 0.3 -0.1 -0.20
H 3.737810 -0.781964 0.523550 0.0 0.0 0.0 0.12
H -4.023847 1.892240 3.000491 0.0 0.0 0.0 0.07
P -4.677060 -1.254175 -2.277978 -1.3 -0.8 -1.1 0.60
H -5.403051 -1.551098 -0.225721 0.3 -0.4 0.1 0.02
H 7.295584 -0.412947 -3.545507 0.0 0.1 0.0 0.12
H 3.736081 -2.584793 -2.754882 0.0 -0.2 0.0 0.08
H 4.529302 -2.185311 -0.201490 0.0 0.0 -0.2 0.12
C -4.755318 -0.752659 3.345639 -0.4 -0.1 0.1 -0.22
H -2.732772 0.530211 4.632592 0.1 0.0 0.2 0.10
O 3.054209 -1.223244 -1.334315 0.1 -0.3 0.0 -0.21
C 6.802435 0.142457 -2.743396 -0.1 -0.2 -0.1 -0.20
H -3.548121 1.521852 5.857397 0.0 0.0 0.0 0.12
H 5.955152 -0.091312 -0.092953 0.0 0.0 0.0 0.12
H -3.917440 -1.143913 3.932984 0.1 0.1 -0.1 0.11
C -0.878285 -2.688471 -1.404942 -1.6 0.5 0.0 -0.40
H 1.984455 -2.447483 -2.560961 0.0 0.0 0.1 0.08
H 3.641461 1.233318 -3.243446 0.0 -0.1 0.1 0.09
H -2.574340 3.575565 4.733450 -0.1 0.0 -0.1 0.12
H 7.588506 0.457649 -2.049591 -0.1 0.1 0.0 0.12
C -2.289274 -2.680963 -2.024860 0.4 0.1 -0.1 -0.58
O -1.845271 0.328774 -3.467225 -0.6 1.0 -1.4 0.13
H -2.820983 -0.708658 0.720093 -0.1 0.0 0.0 0.07
Cl -5.044406 0.717793 -1.643545 0.7 -0.6 0.2 0.20
H -0.106835 0.633545 -1.368555 -0.6 -0.1 0.0 0.13
H -5.701829 0.418818 4.880624 0.1 0.0 0.0 0.12
C -3.211111 1.500195 4.816798 -0.1 0.2 -0.3 -0.21
-- stop --
The March itself has been, and still is, a call to action for the CUNY community to rise up and let our collective voice be heard in the fight for a Tuition Freeze, increased public funding, and equitable faculty and staff contracts. This will be the 3rd March in March since its establishment in 2016.
The University Student Senate (USS) of the City University of New York (CUNY) was founded in 1972 with the mission of preserving the accessibility, affordability, and excellence of higher education within the City University of New York; the organization is charged with protecting the rights of the student body, furthering the cause of public higher education and promoting the general welfare of its student constituents and the University. The USS delegates are responsible for the representative governance of the 500,000 students of the 25 CUNY campuses.
The following organizations and elected officials joined USS for the 2024 March in March:
- Professional Staff Congress (PSC)
- New York Public Interest Research Group (NYPIRG)
- CUNY Rising Alliance (CUNY RISING)
- Public Advocate Jumaane Williams
- Assembly Member Harvey Epstein

© Erik McGregor – – 917-225-8963